Dr Dean Marshall, GPC Scotland chair, says the government is finally listening to GPs and involving them in the development of local clinical services.
Devolution has inevitably meant that over the past decade, there has been an increasing divergence in health policy across the four nations of the UK.
[Materials data from another source follow]
'''
Compound: ErC3O8
Source: the Materials Project
Functional: PBE
Structure: optimized geometry

Results
symmetry: No. 19
calculated density: 2.85 g/cm³
energy of formation: -204 kJ per mole of atoms
final energy: -7.64 eV per atom
energy with MP2020 corrections: -97.2 eV per formula unit
relative energy among the computed polymorphs: 0 kJ/mol of formula units

The structure in POSCAR format:
```
ErC3O8
1.0
-5.488 -4.662 0.751
4.519 -5.939 -3.847
4.680 -3.703 11.215
Er C O
4 12 32
Direct
0.735 0.472 0.799
0.265 0.972 0.701
0.765 0.528 0.299
0.235 0.028 0.201
0.414 0.214 0.955
0.586 0.714 0.545
0.086 0.786 0.455
0.914 0.286 0.045
0.953 0.726 0.099
0.047 0.226 0.401
0.547 0.274 0.599
0.453 0.774 0.901
0.023 0.643 0.741
0.977 0.143 0.759
0.477 0.357 0.241
0.523 0.857 0.259
0.840 0.370 0.985
0.160 0.870 0.515
0.660 0.630 0.485
0.340 0.130 0.015
0.490 0.299 0.896
0.510 0.799 0.604
0.010 0.701 0.396
0.990 0.201 0.104
0.881 0.728 0.008
0.119 0.228 0.492
0.619 0.272 0.508
0.381 0.772 0.992
0.544 0.653 0.867
0.456 0.153 0.633
0.956 0.347 0.367
0.044 0.847 0.133
0.840 0.234 0.781
0.160 0.734 0.719
0.660 0.766 0.281
0.340 0.266 0.219
0.032 0.539 0.816
0.968 0.039 0.684
0.468 0.461 0.316
0.532 0.961 0.184
0.568 0.400 0.657
0.432 0.900 0.843
0.932 0.600 0.157
0.068 0.100 0.343
0.867 0.650 0.689
0.133 0.150 0.811
0.633 0.350 0.189
0.367 0.850 0.311
```
'''
With the recent reforms proposed for the health service in England, the gap has never been as evident as it is today and is likely to grow if the Health and Social Care Bill, as currently envisaged, becomes law. As a result, I am frequently asked to explain the difference between the NHS in Scotland and England.
GPs across the UK have shared values despite the variation in health policy. We have always argued that medical leadership in primary care can help to reduce waste, improve patient pathways and ultimately improve patient outcomes. In England, the political approach has been to give GPs leadership in the form of commissioning, creating a competitive marketplace for healthcare. Meanwhile in Scotland, the approach couldn't be more different. The Scottish government has turned its back on private provision of healthcare and is making efforts to work in partnership with the profession.
Despite broad agreement on healthcare provision, Scotland is not the Utopia that some make it out to be. While we do not face the same challenges as our colleagues in the South, we suffer from a lack of clear policy on the direction of general practice in the future.
That is why last year SGPC decided to do what the politicians had failed to do and published a policy document General Practice in Scotland: the way ahead. This document, based on public and professional consultation, considered the main challenges facing general practice, including access, out of hours, premises, IT and workforce and made recommendations for the future. The document has had a significant impact and in particular, the Scottish government has used it to stimulate debate on future policy for NHS Scotland. As a result, I am pleased to report that, 18 months on, progress is being made.
Calculated crystals that have nothing to do with the text =
- - -
Entry 1:
# NiB2O4

Crystalline NiB2O4 at its relaxed geometry (PBE with a Hubbard U, the Materials Project).

The structure in POSCAR format:
```
NiB2O4
1.0
-0.9756 -4.3178 -0.5236
7.6403 -0.7076 4.7134
-2.9259 0.0845 4.7556
O B Ni
16 8 4
direct
0.8360 0.8556 0.3498
0.8936 0.3626 0.5897
0.8360 0.3556 0.1502
0.1640 0.6444 0.8498
0.8936 0.8626 0.9103
0.6064 0.1374 0.9103
0.1640 0.1444 0.6502
0.3360 0.8556 0.6502
0.3936 0.3626 0.4103
0.3360 0.3556 0.8498
0.6640 0.1444 0.3498
0.1064 0.1374 0.0897
0.3936 0.8626 0.0897
0.1064 0.6374 0.4103
0.6064 0.6374 0.5897
0.6640 0.6444 0.1502
0.6872 0.3147 0.3926
0.3128 0.6853 0.6074
0.3128 0.1853 0.8926
0.8128 0.1853 0.1074
0.1872 0.3147 0.6074
0.6872 0.8147 0.1074
0.8128 0.6853 0.3926
0.1872 0.8147 0.8926
0.7500 0.5000 0.8454
0.2500 0.5000 0.1546
0.2500 0.0000 0.3454
0.7500 0.0000 0.6546
```

## Properties
E (MP2020) = -0.2912 Ha/atom
ΔH_f (0 K) = -1596 kJ/mol of formula units
total DFT energy (no corrections) = -200.7 eV for the cell shown

=====

Entry 2:
# Ni3B2O6

Crystalline Ni3B2O6 at its relaxed geometry (PBE with a Hubbard U, the Materials Project).

The structure in POSCAR format:
```
Ni3B2O6
1.0
4.5021 0.0000 0.0000
0.0000 5.4450 0.0000
0.0000 0.0000 8.3998
Ni B O
6 4 12
direct
0.0000 0.0000 0.0000
0.0000 0.5000 0.1844
0.0000 0.5000 0.8156
0.5000 0.0000 0.3156
0.5000 0.0000 0.6844
0.5000 0.5000 0.5000
0.0433 0.2453 0.5000
0.4567 0.7453 0.0000
0.5433 0.2547 0.0000
0.9567 0.7547 0.5000
0.2011 0.2982 0.3601
0.2011 0.2982 0.6399
0.2481 0.3246 0.0000
0.2519 0.8246 0.5000
0.2989 0.7982 0.1399
0.2989 0.7982 0.8601
0.7011 0.2018 0.1399
0.7011 0.2018 0.8601
0.7481 0.1754 0.5000
0.7519 0.6754 0.0000
0.7989 0.7018 0.3601
0.7989 0.7018 0.6399
```

## Properties
E (MP2020) = -0.2744 Ha/atom
ΔH_f (0 K) = -2098 kJ/mol of formula units
space-group type = Pnnm
total DFT energy (no corrections) = -140.8 eV for the cell shown

=====

Entry 3:
# Ni3BO5

Crystalline Ni3BO5 at its relaxed geometry (PBE with a Hubbard U, the Materials Project).

The structure in POSCAR format:
```
Ni3BO5
1.0
9.1206 0.0000 0.0000
0.0000 12.3151 0.0000
0.0000 0.0000 2.9918
Ni B O
12 4 20
direct
0.0000 0.0000 0.0000
0.0000 0.5000 0.5000
0.0025 0.2197 0.5000
0.2400 0.6136 0.0000
0.2600 0.1136 0.0000
0.4975 0.7197 0.5000
0.5000 0.0000 0.5000
0.5000 0.5000 0.0000
- - -
We have agreed new arrangements to support practices that are having difficulty delivering appropriate access for patients. New quality standards on out-of-hours care have been developed and there is greater collaborative working taking place between the providers of unscheduled care. GP trainees are now employed by NHS Education for Scotland for the duration of the GP element of their training, and there are discussions around appropriate secure access to GP records in secondary care. These measures have been developed in partnership with the profession and agreed with SGPC. It is clear that by working together, we can continue to improve services for patients in Scotland.
As is clear, the Scottish government is beginning to recognise the benefits of bringing the profession along with them and is committed to working with SGPC, for example, to improve Community Health Partnerships, the local structures responsible for the interface between health and social care and primary and secondary care.
However, despite this positive relationship, in Scotland we are not immune from the political PR policies of government. There is still a commitment by the SNP to increase the number of practices providing extended hours and there remains a commitment to the evidence-free policy of over 40 health checks.
There are a number of compelling reasons why GPs are ideally placed to take a central role in planning and developing local clinical services but in our view this does not require an internal market, a policy of any qualified provider or significant changes to the GMS contract. We work with patients on a day to day basis and we have valuable insights as to where the pressure points are, how resources could be used more efficiently and how patient pathways can be made more effective.
It is vital that governments across the UK value the clinical expertise and knowledge of those at the front-line of patient care. Without this recognition, ill-considered and ill-advised healthcare policies we currently see in England could witness the demise of the NHS that we have worked so hard to develop and maintain and which we are so very proud of.
Crystal structures that have nothing to do with the piece:
+++
Computed, not measured: La2MgZr2O8 after structural relaxation at the GGA-PBE level of DFT.

Properties
The space group is I4/mmm, No. 139. For the uncorrected energy, the calculation gives -104.7 eV for the cell shown.

a = 5.5195 Å, b = 5.5195 Å, c = 6.7222 Å
α = 65.76°, β = 65.76°, γ = 90.00°
Element x y z (fractional)
O1 0.8760 0.3760 0.7371
O2 0.3869 0.8869 0.7371
O3 0.1240 0.1131 0.2629
O4 0.6131 0.6240 0.2629
O5 0.3869 0.3760 0.7371
O6 0.8760 0.8869 0.7371
O7 0.6131 0.1131 0.2629
O8 0.1240 0.6240 0.2629
La1 0.0000 0.0000 0.0000
La2 0.5000 0.5000 0.0000
Mg1 0.5000 0.0000 0.0000
Zr1 0.2215 0.7215 0.5569
Zr2 0.7785 0.2785 0.4431
+++
End of the crystal structures:
Dr Dean Marshall is a GP in Dalkeith, Midlothian, and GPC Scotland chair